Genetics and Heredity - Lakewood City Schools

Genetics and Heredity in One Page
The study of how sexually reproducing organisms pass on their genes to their offspring is called
genetics or heredity. Mendel was the first to give the rules for this study. So this is sometimes
called Mendelian Genetics. The key to understanding heredity is to know that there is an equal
Attached: crystal structures:
<<<
No. 1
# Ca2ZrC, single point on PBEsol structure, DFT meta-GGA SCAN
data_Ca2ZrC
_chemical_formula_sum 'Ca4 Zr2 C2'
_cell_length_a 4.414
_cell_length_b 7.097
_cell_length_c 7.097
_cell_angle_alpha 84.45
_cell_angle_beta 71.88
_cell_angle_gamma 71.88
_space_group_name_H-M_alt 'P 1'
_space_group_IT_number 1
loop_
_space_group_symop_operation_xyz
'x,y,z'
loop_
_atom_site_label
_atom_site_fract_x
_atom_site_fract_y
_atom_site_fract_z
Zr1 0.750 0.500 0.500
Ca1 0.278 0.347 0.847
Ca2 0.875 0.847 0.653
Ca3 0.375 0.153 0.347
Zr2 0.000 0.000 0.000
C1 0.250 0.500 0.500
C2 0.500 0.000 0.000
Ca4 0.472 0.653 0.153
# DFT formation energy ... 0.372 eV/atom
# Magnetization ... 0.0 μB/f.u.



No. 2
# KCdOs2, single point on PBEsol structure, DFT meta-GGA SCAN
data_KCdOs2
_chemical_formula_sum 'K1 Cd1 Os2'
_cell_length_a 2.753
_cell_length_b 4.809
_cell_length_c 6.055
_cell_angle_alpha 113.06
_cell_angle_beta 103.14
_cell_angle_gamma 90.00
_space_group_name_H-M_alt 'P 1'
_space_group_IT_number 1
loop_
_space_group_symop_operation_xyz
'x,y,z'
loop_
_atom_site_label
_atom_site_fract_x
_atom_site_fract_y
_atom_site_fract_z
K1 0.000 0.500 0.000
Os1 0.775 0.777 0.550
Os2 0.225 0.223 0.450
Cd1 0.500 0.000 0.000
# DFT formation energy ... 1.099 eV/atom
# Magnetization ... 0.0 μB/f.u.



No. 3
# InHPd3, single point on PBEsol structure, DFT meta-GGA SCAN
data_InHPd3
_chemical_formula_sum 'In1 H1 Pd3'
_cell_length_a 4.900
_cell_length_b 4.900
_cell_length_c 4.900
_cell_angle_alpha 90.00
_cell_angle_beta 90.00
_cell_angle_gamma 90.00
_space_group_name_H-M_alt 'P 1'
_space_group_IT_number 1
loop_
_space_group_symop_operation_xyz
'x,y,z'
loop_
_atom_site_label
_atom_site_fract_x
_atom_site_fract_y
_atom_site_fract_z
Pd1 0.000 0.500 0.000
H1 0.500 0.500 0.500
Pd2 0.000 0.000 0.500
In1 0.000 0.000 0.000
Pd3 0.500 0.000 0.000
# Magnetization ... 0.0 μB/f.u.
# Offset from the most stable computed form ... 1725 meV per atom



No. 4
# CaZrRh2, single point on PBEsol structure, DFT meta-GGA SCAN
data_CaZrRh2
_chemical_formula_sum 'Ca1 Zr1 Rh2'
_cell_length_a 3.226
_cell_length_b 3.226
_cell_length_c 7.021
_cell_angle_alpha 90.00
_cell_angle_beta 90.00
_cell_angle_gamma 90.00
_space_group_name_H-M_alt 'P 1'
_space_group_IT_number 1
loop_
_space_group_symop_operation_xyz
'x,y,z'
loop_
_atom_site_label
_atom_site_fract_x
_atom_site_fract_y
_atom_site_fract_z
Zr1 0.500 0.500 0.000
Rh1 0.000 0.000 0.216
Ca1 0.500 0.500 0.500
Rh2 0.000 0.000 0.784
# DFT formation energy ... -0.790 eV/atom
# Magnetization ... 0.0 μB/f.u.



No. 5
# Sb2TeSeBr, single point on PBEsol structure, DFT meta-GGA SCAN
data_Sb2TeSeBr
_chemical_formula_sum 'Sb2 Te1 Se1 Br1'
_cell_length_a 5.308
_cell_length_b 5.508
_cell_length_c 5.508
>>>
chance for either chromosome in a pair to end up in the new cell. Since the genes are on the
chromosomes, there is also an equal chance for either gene in a pair to end up in the new cell.
Each chromosome pair has its own equal chance and those chances are not related. This
randomness in separating pairs is called independent assortment. Humans have 23 pairs of
Some genes are identical in every cell; especially ones for the vital functions like metabolism,
but other genes come in two flavors like those for brown hair or blond hair. We often use letters
to stand for these gene flavors (like A and A or B and B or b and b or B and b).
If we mate an organism with the gene pair Aa with another organism having the gene pair Aa,
we write: Aa x Aa Then if the genes independently separate, one gamete might have A and
the other gamete might have a. We can represent the processes of meiosis and independent
assortment by using a Punnett square.
The gametes are represented across the top and down the side of the square.
The results of fertilization, the new offspring, are shown in the squares.
Aa aa
## Here the entry breaks off for crystal structures
┌──
No. 1
# Ta2BeAs | Alexandria via LeMat-Bulk | PBE | optimized geometry
data_Ta2BeAs
_chemical_formula_sum 'Ta8 Be4 As4'
_cell_length_a 6.2441
_cell_length_b 6.2441
_cell_length_c 6.2441
_cell_angle_alpha 90.00
_cell_angle_beta 90.00
_cell_angle_gamma 90.00
_symmetry_space_group_name_H-M 'F m -3 m'
_symmetry_Int_Tables_number 225
_symmetry_space_group_name_Hall '-F 4 2 3'
loop_
_atom_site_label
_atom_site_fract_x
_atom_site_fract_y
_atom_site_fract_z
Ta1 0.2500 0.2500 0.2500
Be1 0.0000 0.0000 0.0000
As1 0.0000 0.0000 0.5000
# - excess energy over the best structure of this formula in the dataset (kJ/mol of atoms) = 49.0
# - crystal system = cubic



No. 2
# Ta2BeAs | Alexandria via LeMat-Bulk | PBE | optimized geometry
data_Ta2BeAs
_chemical_formula_sum 'Ta4 Be2 As2'
_cell_length_a 5.0078
_cell_length_b 3.5128
_cell_length_c 7.0868
_cell_angle_alpha 90.00
_cell_angle_beta 109.70
_cell_angle_gamma 90.00
_symmetry_space_group_name_H-M 'P 1 21/m 1'
_symmetry_Int_Tables_number 11
loop_
_symmetry_equiv_pos_as_xyz
'x,y,z'
'-x,-y,-z'
'-x,y+1/2,-z'
'x,-y+1/2,z'
loop_
_atom_site_label
_atom_site_fract_x
_atom_site_fract_y
_atom_site_fract_z
Ta1 0.2005 0.2500 0.4133
Ta2 0.2531 0.7500 0.0612
Be1 0.1319 0.2500 0.7879
As1 0.3666 0.7500 0.7144
# - excess energy over the best structure of this formula in the dataset (kJ/mol of atoms) = 0.0
# - crystal system = monoclinic



No. 3
# TaTi2BeAs | Alexandria via LeMat-Bulk | PBE | optimized geometry
data_TaTi2BeAs
_chemical_formula_sum 'Ta1 Ti2 Be1 As1'
_cell_length_a 4.4477
_cell_length_b 4.4477
_cell_length_c 3.9360
_cell_angle_alpha 90.00
_cell_angle_beta 90.00
_cell_angle_gamma 90.00
_symmetry_space_group_name_H-M 'P 4/m m m'
_symmetry_Int_Tables_number 123
_symmetry_space_group_name_Hall '-P 4 2'
loop_
_atom_site_label
_atom_site_fract_x
_atom_site_fract_y
_atom_site_fract_z
Ta1 0.0000 0.0000 0.0000
Ti1 0.0000 0.5000 0.5000
Be1 0.5000 0.5000 0.5000
As1 0.5000 0.5000 0.0000
# - energy (eV per atom) = -6.85
# - crystal system = tetragonal



Number 1: Fermi-level density of states 1.152 states/eV/atom, total moment 0.000 μB/f.u., theoretical density 12.2 g/cm3. Number 2: Fermi-level density of states 0.329 states/eV/atom, total moment 0.000 μB/f.u., theoretical density 12.6 g/cm3. Number 3: Fermi-level density of states 0.408 states/eV/atom, total moment 0.000 μB/f.u., theoretical density 7.7 g/cm3.

----------

# 1
This record from Alexandria via LeMat-Bulk describes a geometry-optimized Ba3P4O13 structure. The functional is PBE-GGA.

- Uncorrected formation energy: -256.5 kJ per mole of atoms
- Space-group type: P1
- DOS(E_F): 0.000 states/eV per atom
- Raw total energy: -7.251 eV per atom
- Total moment: 0.0 Bohr magnetons per cell

Cell lengths 5.8051, 7.3341, 8.1900 Å; angles 83.00, 75.92, 70.51 degrees
Positions (direct):
Ba  0.0000  0.0000  0.0000
Ba  0.2892  0.1701  0.4535
Ba  0.6473  0.5890  0.2258
P  0.3111  0.3935  0.0394
P  0.6392  0.7928  0.7622
P  0.6435  0.3750  0.7005
P  0.9712  0.7764  0.4225
└──
So this mating produces ¼ of the offspring as AA, ½ as Aa and ¼ aa.
Having genes of only one flavor, like AA, is called homozygous. Having one of each, like Aa, is
called heterozygous. What does this mean as far as traits. Having the genotype, AA, will give
you the A trait. Having aa will give you the a trait. Having Aa gives interesting possibilities.
If a trait has what is called complete dominance, having Aa will express only the dominant or A
trait. The dominant gene, A, totally covers up the recessive gene a. This is seen in eye color,
where the gene for brown eyes totally covers the gene for blue eyes, b. A person who is Bb will
have brown eyes.
But if a trait has what is called incomplete dominance, having Aa will give some of both traits, or
a medium trait. This is seen in skin color, where the gene for dark skin, D, only partially covers
the gene for light skin, d. The result is, a person with Dd, will have medium colored skin.
## These calculated crystals were left in the entry by mistake
┌──
Record 1
This record from Alexandria via LeMat-Bulk describes a geometry-optimized CoBrCl4 structure. The functional is PBE.

The structure belongs to space group F-43m (No. 216); the cell edges are 8.167, 8.167 and 8.167 Å and the angles 90.00°, 90.00° and 90.00°. The distinct sites, in fractional coordinates, are Co at (0.000, 0.000, 0.000), Br at (0.250, 0.250, 0.750) and Cl at (0.125, 0.125, 0.375).

For the energy relative to the elements, uncorrected, the calculation gives 0.9514 eV per atom.


Record 2
This record from Alexandria via LeMat-Bulk describes a geometry-optimized HgIr2Au structure. The functional is PBE.

The structure belongs to space group I4/mmm (No. 139); the cell edges are 4.089, 4.089 and 8.048 Å and the angles 90.00°, 90.00° and 90.00°. The distinct sites, in fractional coordinates, are Hg at (0.000, 0.000, 0.000), Ir at (0.000, 0.500, 0.250) and Au at (0.000, 0.000, 0.500).

The calculation puts the energy of formation from the pure elements at 0.602 eV/atom.


Record 3
This record from Alexandria via LeMat-Bulk describes a geometry-optimized GeBr2Cl structure. The functional is PBE.

The structure belongs to space group R-3m (No. 166, hexagonal axes); the cell edges are 4.0333, 4.0333 and 26.2727 Å and the angles 90.00°, 90.00° and 120.00°. The distinct sites, in fractional coordinates, are Ge at (0.0000, 0.0000, 0.0000), Br at (0.0000, 0.0000, 0.3969) and Cl at (0.0000, 0.0000, 0.5000).

For the energy relative to the elements, uncorrected, the calculation gives -0.1333 eV per atom.


Record 4
This record from Alexandria via LeMat-Bulk describes a geometry-optimized AlSiICl2 structure. The functional is PBE.

The structure belongs to space group P4/mmm (No. 123); the cell edges are 6.285, 6.285 and 5.069 Å and the angles 90.00°, 90.00° and 90.00°. The distinct sites, in fractional coordinates, are Al at (0.000, 0.000, 0.000), Si at (0.500, 0.500, 0.000), I at (0.500, 0.500, 0.500) and Cl at (0.000, 0.500, 0.500).
└──
If the genes are on the last chromosome pair, the sex chromosomes, X and Y, then the trait is
called sex linked. Males always have an X and Y chromosome pair, while females always have
an X and an X. Sex linked traits are complicated by the fact that the Y chromosome is small
and does not carry partners for most of the genes found on the X chromosomes. Because of
this, male offspring have whatever trait is found on the X chromosome, while female offspring
have the usual competing genes, which follow the dominance rules in the previous two